(Material)
********
The following is a PBE with a Hubbard U calculation of an optimized crystal structure of LiScVO4, from the Materials Project.

Structure (extended XYZ):
```
28
Lattice="-2.548 -1.459 5.324 3.523 4.180 2.661 -5.874 6.264 -1.417" Properties=species:S:1:pos:R:3 pbc="T T T"
Sc -0.736 3.608 5.636
O -0.881 8.689 1.705
V 0.480 1.360 3.991
O -2.813 0.909 2.517
O -3.877 8.805 1.949
O -2.715 6.861 0.477
V -2.492 1.517 4.303
O -0.924 6.116 2.587
Li -3.815 4.927 4.486
V -2.393 7.467 2.262
O -2.079 8.075 4.050
V 0.579 7.311 1.953
O 0.606 1.978 5.800
O -5.511 7.007 0.769
Sc -4.112 8.354 -0.084
O -3.975 2.854 3.990
O -4.017 0.312 4.861
Sc -4.211 2.403 1.956
O -0.979 2.738 3.744
O -2.819 3.749 1.099
Li -1.084 4.057 2.080
O -2.086 5.236 5.470
O -3.919 6.263 2.821
Sc -4.162 5.379 0.936
O -2.177 2.123 6.090
Li -3.534 8.549 5.364
O -1.022 0.164 4.626
Li -1.366 0.434 1.201
```

## Properties
- Density: 3.45 Mg/m³
- E_tot: -7.66 eV per atom

* * * * *

1.
Computed, not measured: a relaxed In3CuSe5 crystal at the PBE-GGA level of DFT.

Summary:
Its crystal system is triclinic.

Unit cell a=5.891 b=7.210 c=7.251 alpha=80.35 beta=66.39 gamma=66.11
Sites, in units of the cell vectors:
In  0.807  0.812  0.589
In  0.623  0.599  0.201
In  0.398  0.383  0.806
Cu  0.978  0.009  0.002
Se  0.057  0.270  0.117
Se  0.882  0.104  0.697
Se  0.635  0.929  0.291
Se  0.421  0.718  0.906
Se  0.248  0.476  0.490



2.
Computed, not measured: a relaxed In2CuSe4 crystal at the PBE-GGA level of DFT.

Summary:
Its crystal system is tetragonal.

Unit cell a=7.078 b=7.078 c=7.078 alpha=132.10 beta=132.10 gamma=70.07
Sites, in units of the cell vectors:
In  0.500  0.500  0.000
In  0.750  0.250  0.500
Cu  0.000  0.000  0.000
Se  0.611  0.662  0.533
Se  0.130  0.079  0.467
Se  0.921  0.389  0.051
Se  0.338  0.870  0.949



3.
Computed, not measured: a relaxed In11Cu9Se20 crystal at the PBE-GGA level of DFT.

Summary:
Its crystal system is tetragonal.

Unit cell a=11.120 b=11.120 c=11.120 alpha=106.85 beta=106.85 gamma=114.84
Sites, in units of the cell vectors:
In  0.500  0.500  0.000
In  0.595  0.187  0.793
In  0.041  0.348  0.903
In  0.813  0.606  0.408
In  0.250  0.750  0.500
In  0.000  0.000  0.000
In  0.445  0.138  0.097
In  0.198  0.405  0.592
In  0.652  0.555  0.693
In  0.394  0.802  0.207
In  0.862  0.959  0.307
Cu  0.700  0.900  0.601
Cu  0.901  0.300  0.200
Cu  0.100  0.700  0.800
Cu  0.148  0.040  0.697
Cu  0.300  0.099  0.399
Cu  0.343  0.451  0.303
Cu  0.549  0.852  0.892
Cu  0.750  0.250  0.500
Cu  0.960  0.657  0.108
Se  0.768  0.159  0.678
Se  0.971  0.561  0.280
Se  0.439  0.719  0.410
Se  0.881  0.887  0.520
Se  0.309  0.029  0.590
Se  0.168  0.960  0.880
Se  0.640  0.119  0.006
Se  0.079  0.288  0.120
Se  0.514  0.422  0.211
Se  0.367  0.360  0.480
Se  0.841  0.519  0.609
Se  0.281  0.691  0.720
Se  0.712  0.832  0.792
Se  0.578  0.788  0.092
Se  0.040  0.921  0.208
Se  0.481  0.090  0.322
Se  0.910  0.232  0.391
Se  0.212  0.303  0.789
Se  0.697  0.486  0.908
Se  0.113  0.633  0.994



4.
Computed, not measured: a relaxed TaInCu2Se4 crystal at the PBE-GGA level of DFT.

Summary:
Its crystal system is tetragonal.

Unit cell a=5.819 b=5.819 c=12.217 alpha=90.00 beta=90.00 gamma=90.00
Sites, in units of the cell vectors:
Ta  0.000  0.000  0.000
Ta  0.000  0.000  0.500
In  0.500  0.000  0.250
In  0.000  0.500  0.750
Cu  0.000  0.500  0.250
Cu  0.500  0.000  0.750
Cu  0.500  0.500  0.000
Cu  0.500  0.500  0.500
Se  0.212  0.281  0.111
Se  0.788  0.719  0.111
Se  0.281  0.788  0.889
Se  0.788  0.281  0.389
Se  0.719  0.212  0.889
Se  0.212  0.719  0.389
Se  0.719  0.788  0.611
Se  0.281  0.212  0.611



5.
Computed, not measured: a relaxed InCuTeSe crystal at the PBE-GGA level of DFT.

Summary:
Its crystal system is orthorhombic.

Unit cell a=7.475 b=7.475 c=7.475 alpha=131.97 beta=131.71 gamma=70.49
Sites, in units of the cell vectors:
In  0.383  0.133  0.250
In  0.117  0.367  0.750
Cu  0.884  0.634  0.250
Cu  0.616  0.866  0.750
Te  0.536  0.250  0.786
********
(Request)
Echo the lines above up to the one that holds "0.057", that line included, please.
(Here it is)
The following is a PBE with a Hubbard U calculation of an optimized crystal structure of LiScVO4, from the Materials Project.

Structure (extended XYZ):
```
28
Lattice="-2.548 -1.459 5.324 3.523 4.180 2.661 -5.874 6.264 -1.417" Properties=species:S:1:pos:R:3 pbc="T T T"
Sc -0.736 3.608 5.636
O -0.881 8.689 1.705
V 0.480 1.360 3.991
O -2.813 0.909 2.517
O -3.877 8.805 1.949
O -2.715 6.861 0.477
V -2.492 1.517 4.303
O -0.924 6.116 2.587
Li -3.815 4.927 4.486
V -2.393 7.467 2.262
O -2.079 8.075 4.050
V 0.579 7.311 1.953
O 0.606 1.978 5.800
O -5.511 7.007 0.769
Sc -4.112 8.354 -0.084
O -3.975 2.854 3.990
O -4.017 0.312 4.861
Sc -4.211 2.403 1.956
O -0.979 2.738 3.744
O -2.819 3.749 1.099
Li -1.084 4.057 2.080
O -2.086 5.236 5.470
O -3.919 6.263 2.821
Sc -4.162 5.379 0.936
O -2.177 2.123 6.090
Li -3.534 8.549 5.364
O -1.022 0.164 4.626
Li -1.366 0.434 1.201
```

## Properties
- Density: 3.45 Mg/m³
- E_tot: -7.66 eV per atom

* * * * *

1.
Computed, not measured: a relaxed In3CuSe5 crystal at the PBE-GGA level of DFT.

Summary:
Its crystal system is triclinic.

Unit cell a=5.891 b=7.210 c=7.251 alpha=80.35 beta=66.39 gamma=66.11
Sites, in units of the cell vectors:
In  0.807  0.812  0.589
In  0.623  0.599  0.201
In  0.398  0.383  0.806
Cu  0.978  0.009  0.002
Se  0.057  0.270  0.117